### Request
Echo every line further down that contains the word "Neutral-atom".

### Entries
- - -
For Cs2Li2PmCl6, a DFT-relaxed cell (PBE, Alexandria) gives the computed X-ray diffraction stick pattern in this record (Cu Kα (weighted mean of Kα1 and Kα2)).
Neutral-atom scattering factors, no anomalous dispersion.

Main lines, by angle (10 to 90 degrees two-theta):
2θ (°)  d/Å  Rel. int.
17.88  4.961  100
24.36  3.653  44
26.38  3.379  44
30.38  2.942  72
33.23  2.696  14
36.21  2.481  29
39.32  2.291  27
41.97  2.153  22
44.13  2.052  23
49.92  1.827  20

Atomic structure:
```
data_Cs2Li2PmCl6
_cell_length_a 7.3070
_cell_length_b 7.3070
_cell_length_c 7.9925
_cell_angle_alpha 90.00
_cell_angle_beta 90.00
_cell_angle_gamma 120.00
_symmetry_space_group_name_H-M 'P -3 m 1'
_symmetry_Int_Tables_number 164
_symmetry_space_group_name_Hall '-P 3 2"'
loop_
_atom_site_label
_atom_site_fract_x
_atom_site_fract_y
_atom_site_fract_z
Cs1 0.3333 0.6667 0.3712
Li1 0.3333 0.6667 0.8629
Pm1 0.0000 0.0000 0.0000
Cl1 0.1636 0.3272 0.7632
```

For CsLi2PrCl6, a DFT-relaxed cell (PBE, Alexandria) gives the computed X-ray diffraction stick pattern in this record (Cu Kα (weighted mean of Kα1 and Kα2)).
Neutral-atom scattering factors, no anomalous dispersion.

Main lines, by angle (10 to 90 degrees two-theta):
2θ (°)  d/Å  Rel. int.
10.57  8.373  25
16.68  5.316  100
20.72  4.287  66
28.42  3.140  25
31.31  2.857  26
32.34  2.768  23
34.05  2.633  74
41.34  2.184  22
43.26  2.091  21
46.43  1.956  25

Atomic structure:
```
data_CsLi2PrCl6
_cell_length_a 6.7738
_cell_length_b 6.7748
_cell_length_c 9.2379
_cell_angle_alpha 68.52
_cell_angle_beta 68.55
_cell_angle_gamma 60.02
_symmetry_space_group_name_H-M 'P -1'
_symmetry_Int_Tables_number 2
loop_
_symmetry_equiv_pos_as_xyz
'x,y,z'
'-x,-y,-z'
loop_
_atom_site_label
_atom_site_fract_x
_atom_site_fract_y
_atom_site_fract_z
Cs1 0.0000 0.0000 0.0000
Li1 0.1731 0.1716 0.4828
Pr1 0.5000 0.5000 0.5000
Cl1 0.0937 0.7888 0.6745
Cl2 0.2114 0.5567 0.3253
Cl3 0.4432 0.0941 0.6748
```

For Cs2Li2PuCl6, a DFT-relaxed cell (PBE, Alexandria) gives the computed X-ray diffraction stick pattern in this record (Cu Kα (weighted mean of Kα1 and Kα2)).
Neutral-atom scattering factors, no anomalous dispersion.

Main lines, by angle (10 to 90 degrees two-theta):
2θ (°)  d/Å  Rel. int.
13.87  6.383  100
20.97  4.236  53
23.09  3.852  73
24.28  3.665  75
31.39  2.850  71
33.77  2.654  48
39.33  2.291  22
41.30  2.186  39
43.97  2.059  33
47.19  1.926  29

Atomic structure:
```
data_Cs2Li2PuCl6
_cell_length_a 7.7039
_cell_length_b 7.7039
_cell_length_c 21.9324
_cell_angle_alpha 90.00
_cell_angle_beta 90.00
_cell_angle_gamma 120.00
_symmetry_space_group_name_H-M 'R -3 m'
_symmetry_Int_Tables_number 166
_symmetry_space_group_name_Hall '-R 3 2"'
loop_
_atom_site_label
_atom_site_fract_x
_atom_site_fract_y
_atom_site_fract_z
Cs1 0.0000 0.0000 0.2168
Li1 0.0000 0.0000 0.4176
Pu1 0.0000 0.0000 0.0000
Cl1 0.0062 0.5031 0.7508
```

For CsLi4Pu3Cl12, a DFT-relaxed cell (PBE, Alexandria) gives the computed X-ray diffraction stick pattern in this record (Cu Kα (weighted mean of Kα1 and Kα2)).
Neutral-atom scattering factors, no anomalous dispersion.

Main lines, by angle (10 to 90 degrees two-theta):
2θ (°)  d/Å  Rel. int.
11.97  7.391  69
16.35  5.420  100
20.32  4.371  34
22.30  3.986  68
30.69  2.913  69
35.91  2.501  22
36.47  2.464  21
40.21  2.243  19
43.74  2.070  25
53.22  1.721  20

Atomic structure:
```
data_CsLi4Pu3Cl12
_cell_length_a 14.7825
_cell_length_b 14.7825
_cell_length_c 10.1878
_cell_angle_alpha 90.00
_cell_angle_beta 90.00
_cell_angle_gamma 120.00
_symmetry_space_group_name_H-M 'R 3 2'
_symmetry_Int_Tables_number 155
_symmetry_space_group_name_Hall 'R 3 2"'
loop_
_atom_site_label
_atom_site_fract_x
_atom_site_fract_y
_atom_site_fract_z
Cs1 0.0000 0.0000 0.0000
Li1 0.0000 0.0000 0.5000
Li2 0.0000 0.4350 0.5000
Pu1 0.0000 0.5606 0.0000
Cl1 0.0000 0.5945 0.5000
Cl2 0.0000 0.8430 0.5000
Cl3 0.0487 0.2226 0.1839
```
- - -

### Done
Neutral-atom scattering factors, no anomalous dispersion.
Neutral-atom scattering factors, no anomalous dispersion.
Neutral-atom scattering factors, no anomalous dispersion.
Neutral-atom scattering factors, no anomalous dispersion.